Brief
Now filter the calculation results further down: keep the lines with the word "formula".

Given
-- begin --
## LiLa2HO3 (GGA-PBE)

Data for an optimized crystal structure of LiLa2HO3.

Structure (CIF):
```
data_LiLa2HO3
_chemical_formula_sum 'Li2 La4 H2 O6'
_space_group_name_H-M_alt 'I m m m'
_space_group_IT_number 71
_space_group_name_Hall '-I 2 2'
_cell_length_a 3.582
_cell_length_b 3.798
_cell_length_c 12.931
_cell_angle_alpha 90.00
_cell_angle_beta 90.00
_cell_angle_gamma 90.00
loop_
_atom_site_label
_atom_site_fract_x
_atom_site_fract_y
_atom_site_fract_z
Li1 0.000 0.000 0.000
La1 0.000 0.000 0.363
H1 0.000 0.500 0.500
O1 0.000 0.000 0.177
O2 0.000 0.500 0.000
```

Summary:
The volume is 12.57 Å³ per atom. Its magnetic moment is 0.00 μB per formula unit. The calculation puts the uncorrected energy at -6.86 eV/atom. As for the formation energy: -2.864 eV/atom.

=====

# 1
DFT (PBE-GGA) results for LiSn2P3O12 after structural relaxation.

CIF file:
```
data_LiSn2P3O12
_cell_length_a 8.8801
_cell_length_b 12.3485
_cell_length_c 8.7570
_cell_angle_alpha 90.00
_cell_angle_beta 90.00
_cell_angle_gamma 90.00
_symmetry_space_group_name_H-M 'P 21 21 2'
_symmetry_Int_Tables_number 18
_symmetry_space_group_name_Hall 'P 2 2ab'
loop_
_atom_site_label
_atom_site_type_symbol
_atom_site_fract_x
_atom_site_fract_y
_atom_site_fract_z
Li1 Li 0.0310 0.1775 0.4616
Sn1 Sn 0.2092 0.3874 0.5005
Sn2 Sn 0.2148 0.1181 0.9994
P1 P 0.0000 0.0000 0.7099
P2 P 0.0000 0.5000 0.2080
P3 P 0.1415 0.8526 0.1431
P4 P 0.1436 0.6505 0.6467
O1 O 0.0148 0.3142 0.5875
O2 O 0.0222 0.1768 0.1004
O3 O 0.0852 0.9211 0.5997
O4 O 0.0929 0.5765 0.1088
O5 O 0.1017 0.4259 0.3070
O6 O 0.1054 0.0717 0.8021
O7 O 0.1445 0.8447 0.3240
O8 O 0.1466 0.6593 0.8198
O9 O 0.1830 0.5361 0.5923
O10 O 0.1841 0.9676 0.0954
O11 O 0.2356 0.2265 0.4270
O12 O 0.2421 0.2731 0.9212
```

Properties
- Energy with MP2020 corrections: -0.5341 Ry per atom
- Offset from the most stable computed form: 0.28 eV per formula unit
- Magnetization: 0.000 μB per atom
- Total DFT energy (no corrections): -6.808 eV/atom


# 2
DFT (PBE-GGA) results for FeCuS2 after structural relaxation.

CIF file:
```
data_FeCuS2
_cell_length_a 3.6367
_cell_length_b 3.6367
_cell_length_c 5.3232
_cell_angle_alpha 90.00
_cell_angle_beta 90.00
_cell_angle_gamma 90.00
_symmetry_space_group_name_H-M 'P -4 m 2'
_symmetry_Int_Tables_number 115
_symmetry_space_group_name_Hall 'P -4 -2'
loop_
_atom_site_label
_atom_site_type_symbol
_atom_site_fract_x
_atom_site_fract_y
_atom_site_fract_z
Fe1 Fe 0.0000 0.0000 0.0000
Cu1 Cu 0.0000 0.0000 0.5000
S1 S 0.0000 0.5000 0.7664
```

Properties
- Energy with MP2020 corrections: -0.4094 Ry per atom
- Magnetization: 0.648 μB per atom
- Total DFT energy (no corrections): -5.319 eV/atom


# 3
DFT (PBE-GGA) results for Si after structural relaxation.

CIF file:
```
data_Si
_cell_length_a 3.8538
_cell_length_b 10.7531
_cell_length_c 12.7275
_cell_angle_alpha 90.00
_cell_angle_beta 90.00
_cell_angle_gamma 90.00
_symmetry_space_group_name_H-M 'C m c m'
_symmetry_Int_Tables_number 63
_symmetry_space_group_name_Hall '-C 2c 2'
loop_
_atom_site_label
_atom_site_type_symbol
_atom_site_fract_x
_atom_site_fract_y
_atom_site_fract_z
Si1 Si 0.0000 0.0287 0.0905
Si2 Si 0.0000 0.2427 0.0547
Si3 Si 0.0000 0.4288 0.1570
```

Properties
- Offset from the most stable computed form: 0.10 eV per formula unit
- Total DFT energy (no corrections): -5.329 eV/atom


# 4
DFT (PBE-GGA) results for Tm2MgSe4 after structural relaxation.

CIF file:
```
data_Tm2MgSe4
_cell_length_a 8.0650
_cell_length_b 7.7248
_cell_length_c 11.9454
_cell_angle_alpha 90.00
_cell_angle_beta 90.00
_cell_angle_gamma 90.00
_symmetry_space_group_name_H-M 'P n m a'
_symmetry_Int_Tables_number 62
_symmetry_space_group_name_Hall '-P 2ac 2n'
loop_
_atom_site_label
_atom_site_type_symbol
_atom_site_fract_x
_atom_site_fract_y
_atom_site_fract_z
Tm1 Tm 0.0508 0.2500 0.0165
Tm2 Tm 0.0596 0.7500 0.3097
Mg1 Mg 0.1719 0.2500 0.4009
Se1 Se 0.1204 0.7500 0.5399
Se2 Se 0.1206 0.5052 0.8410
Se3 Se 0.2374 0.7500 0.1132
```

Properties
-- stop --

Here it is
The volume is 12.57 Å³ per atom. Its magnetic moment is 0.00 μB per formula unit. The calculation puts the uncorrected energy at -6.86 eV/atom. As for the formation energy: -2.864 eV/atom.
- Offset from the most stable computed form: 0.28 eV per formula unit
- Offset from the most stable computed form: 0.10 eV per formula unit